Your job: search the contents below for the word "Kα" and reproduce each line that has it.
- - -
Calculated powder X-ray diffraction pattern of Na5Fe3F14 for Cu Kα (λ = 1.5418 Å), from a GGA+U-relaxed structure.
Lines closer than 0.1° are merged.

Top 12 peaks for 10° ≤ 2θ ≤ 80°, in order of falling intensity:
- hkl 2 0 2, 2θ = 29.28°, 3.050 Å, I = 100
- hkl 4 0 0, 2θ = 47.68°, 1.907 Å, I = 38
- hkl 2 0 0, 2θ = 23.32°, 3.815 Å, I = 38
- hkl 2 2 4, 2θ = 49.29°, 1.849 Å, I = 32
- hkl 0 0 2, 2θ = 17.46°, 5.078 Å, I = 30
- hkl 4 2 2, 2θ = 56.94°, 1.617 Å, I = 27
- hkl 1 0 1, 2θ = 14.52°, 6.100 Å, I = 25
- hkl 2 0 6, 2θ = 59.77°, 1.547 Å, I = 16
- hkl 2 1 1, 2θ = 27.58°, 3.234 Å, I = 16
- hkl 2 1 3, 2θ = 37.42°, 2.403 Å, I = 14
- hkl 4 0 4, 2θ = 60.73°, 1.525 Å, I = 14
- hkl 4 2 6, 2θ = 79.82°, 1.202 Å, I = 12

Structural model:
a = 7.6291 Å, b = 7.6291 Å, c = 10.1559 Å
α = 90.00°, β = 90.00°, γ = 90.00°
Space group P4_2/mnm (No. 136)
Unique sites:
1 Na 0.0000 0.0000 0.0000 x2
2 Na 0.2385 0.2385 0.2580 x8
3 Fe 0.0000 0.0000 0.5000 x2
4 Fe 0.0000 0.5000 0.0000 x4
5 F 0.0000 0.0000 0.3098 x4
6 F 0.0006 0.6837 0.1272 x16
7 F 0.0043 0.2512 0.5000 x8

=====

Structure and theoretical X-ray powder pattern of ZnCu2Sn2O8 (DFT lattice parameters and positions (GGA-PBE); Cu Kα (λ = 1.5418 Å)).
Intensities are scaled so that the largest is 100.

Main lines, in order of falling intensity (2θ = 10–90°):
d (Å)	2theta	I (rel.)
2.858	31.30	100
3.175	28.10	96
3.867	23.00	72
3.139	28.43	57
2.840	31.50	55
4.410	20.14	50
3.022	29.56	43
2.493	36.03	42
2.169	41.63	35
2.694	33.25	34
1.636	56.24	31
1.629	56.49	27

abc: 6.218 8.820 12.087
angles: 90.00 90.83 90.00
Space group P2_1/c (No. 14)
One atom of each set of equivalent atoms:
Zn1 0.102 0.148 0.471 (multiplicity 4)
Cu1 0.247 0.690 0.832 (multiplicity 4)
Cu2 0.374 0.073 0.897 (multiplicity 4)
Sn1 0.092 0.049 0.154 (multiplicity 4)
Sn2 0.436 0.566 0.151 (multiplicity 4)
O1 0.035 0.232 0.629 (multiplicity 4)
O2 0.085 0.126 0.902 (multiplicity 4)
O3 0.196 0.556 0.041 (multiplicity 4)
O4 0.203 0.021 0.314 (multiplicity 4)
O5 0.279 0.602 0.302 (multiplicity 4)
O6 0.347 0.517 0.570 (multiplicity 4)
O7 0.414 0.224 0.441 (multiplicity 4)
O8 0.472 0.154 0.698 (multiplicity 4)

=====

Structure and calculated XRD peak list of Ho3Ga11 (DFT lattice parameters and positions (PBE); Cu Kα (weighted mean of Kα1 and Kα2)).
No peak broadening, texture or thermal motion is included.

Peak list (6 most intense, 2θ = 5–70°, most intense first)
two_theta  intensity
34.90  100
43.07  26
34.26  25
42.38  22
34.05  20
29.85  16

Crystal structure
- - -
Calculated powder X-ray diffraction pattern of Na5Fe3F14 for Cu Kα (λ = 1.5418 Å), from a GGA+U-relaxed structure.
Structure and theoretical X-ray powder pattern of ZnCu2Sn2O8 (DFT lattice parameters and positions (GGA-PBE); Cu Kα (λ = 1.5418 Å)).
Structure and calculated XRD peak list of Ho3Ga11 (DFT lattice parameters and positions (PBE); Cu Kα (weighted mean of Kα1 and Kα2)).